........
Record 1
## K3TlF6 (GGA-PBE)

Data for a relaxed K3TlF6 crystal.

Geometry as extended XYZ:
```
10
Lattice="4.6347 -2.1678 4.2456 3.7823 4.3582 3.3023 -0.8333 0.8369 6.5430" Properties=species:S:1:pos:R:3 pbc="T T T"
K 5.6878 2.2705 10.5682
K 1.8959 0.7568 3.5227
K 3.7919 1.5137 7.0454
Tl 0.0000 0.0000 0.0000
F 4.2424 -0.4543 5.5488
F 1.3195 1.1519 6.7768
F 3.3413 3.4816 8.5421
F 3.7868 3.0342 5.0445
F 3.7970 -0.0069 9.0464
F 6.2643 1.8754 7.3141
```

Results
Density: 3.5 g/cm3
Total magnetic moment: 0.0 μB per cell
V: 20.78 Å³ per atom
DFT total energy: -4.105 eV/atom

***

Record 2
## KTlF4 (GGA-PBE)

Data for a relaxed KTlF4 crystal.

Geometry as extended XYZ:
```
36
Lattice="4.1083 -7.1158 0.0000 4.1083 7.1158 0.0000 0.0000 0.0000 10.3870" Properties=species:S:1:pos:R:3 pbc="T T T"
K 3.2840 -1.1998 0.1849
K 3.5053 -3.6719 3.6472
K 5.5356 -2.2442 7.1096
K 3.2480 1.2100 7.3361
K 5.5447 2.2079 0.4115
K 3.5322 3.6979 3.8738
Tl 5.5444 -4.5361 0.3075
Tl 5.2645 -0.0462 3.7698
Tl 1.5161 -2.5335 7.2322
Tl 1.4645 -0.0101 3.7421
Tl 3.3848 -5.8425 7.2045
Tl 7.4757 -1.2633 0.2798
F 0.6802 -0.4426 7.2729
F 7.4932 -0.3677 3.8106
F 4.1516 -6.3055 0.3482
F 6.6102 -0.1127 8.8103
F 4.8139 -5.6683 5.3480
F 0.9008 -1.3348 1.8857
F 3.7333 -3.6201 0.9849
F 3.2149 -1.4231 7.9096
F 5.3768 -2.0726 4.4472
F 3.7637 3.7617 6.5814
F 5.4842 1.9755 3.1191
F 3.0770 1.3786 10.0438
F 1.5560 1.8737 2.5668
F 5.8160 0.4106 6.0292
F 4.9530 4.8315 9.4915
F 3.3708 -0.8538 2.7839
F 3.1624 -3.7697 6.2462
F 5.7918 -2.4923 9.7085
F 1.6052 -1.8926 4.9213
F 4.9447 -4.7794 8.3837
F 5.7750 -0.4439 1.4590
F 3.3566 0.8546 4.7359
F 5.7982 2.4796 8.1982
F 3.1702 3.7816 1.2735
```

Results
Density: 5.2 g/cm3
V: 16.87 Å³ per atom
DFT total energy: -4.046 eV/atom

=====

# 1
! Tb8CrTe13Cl, optimized geometry, DFT PBE-GGA; values from VASP
&SYSTEM
  ibrav = 0, nat = 46, ntyp = 4
/
ATOMIC_SPECIES
Tb 158.93 Tb.upf
Cr 52.00 Cr.upf
Te 127.60 Te.upf
Cl 35.45 Cl.upf
CELL_PARAMETERS angstrom
2.099 -13.302 0.000
2.099 13.302 0.000
0.000 0.000 23.835
ATOMIC_POSITIONS angstrom
Tb 2.099 12.829 11.918
Tb 2.099 11.911 19.880
Tb 2.099 10.444 15.785
Tb 2.099 9.370 23.723
Tb 2.099 5.975 16.273
Tb 2.099 5.143 0.225
Tb 2.099 3.512 20.085
Tb 2.099 1.581 16.089
Tb 2.099 -1.581 4.172
Tb 2.099 -3.512 8.167
Tb 2.099 -5.143 12.143
Tb 2.099 -5.975 4.355
Tb 2.099 -9.370 11.805
Tb 2.099 -10.444 3.868
Tb 2.099 -11.911 7.962
Tb 2.099 -12.829 0.000
Cr 2.099 5.555 8.025
Cr 2.099 -5.555 19.943
Te 2.099 11.657 6.620
Te 2.099 9.839 10.514
Te 2.099 9.482 3.239
Te 2.099 8.689 18.429
Te 2.099 7.917 6.669
Te 2.099 6.818 21.476
Te 2.099 5.995 12.949
Te 2.099 5.207 3.391
Te 2.099 3.269 9.467
Te 2.099 2.294 1.495
Te 2.099 1.757 12.816
Te 2.099 1.335 5.637
Te 2.099 0.496 21.428
Te 2.099 -0.496 9.510
Te 2.099 -1.335 17.554
Te 2.099 -1.757 0.898
Te 2.099 -2.294 13.412
Te 2.099 -3.269 21.385
Te 2.099 -5.207 15.309
Te 2.099 -5.995 1.032
Te 2.099 -6.818 9.558
Te 2.099 -7.917 18.587
Te 2.099 -8.689 6.511
Te 2.099 -9.482 15.157
Te 2.099 -9.839 22.432
Te 2.099 -11.657 18.538
Cl 2.099 13.289 3.128
Cl 2.099 -13.289 15.046
! total magnetic moment	1.7	Bohr magnetons per cell
! energy relative to the elements	-1295	meV per atom
! volume	665.52	Å³/f.u.

---

# 2
! CsCl, optimized geometry, DFT PBE-GGA; values from VASP
&SYSTEM
  ibrav = 0, nat = 2, ntyp = 2
/
ATOMIC_SPECIES
Cs 132.91 Cs.upf
Cl 35.45 Cl.upf
CELL_PARAMETERS angstrom
0.000 3.531 3.531
3.531 0.000 3.531
3.531 3.531 0.000
ATOMIC_POSITIONS angstrom
Cs 0.000 0.000 0.000
Cl 3.531 3.531 3.531
! energy relative to the elements	-2255	meV per atom
! volume	88.05	Å³/f.u.

---

# 3
! CsCl, optimized geometry, DFT PBE-GGA; values from VASP
&SYSTEM
  ibrav = 0, nat = 2, ntyp = 2
/
ATOMIC_SPECIES
Cs 132.91 Cs.upf
Cl 35.45 Cl.upf
CELL_PARAMETERS angstrom
4.209 0.000 0.000
0.000 4.209 0.000
0.000 0.000 4.209
ATOMIC_POSITIONS angstrom
Cs 0.000 0.000 0.000
Cl 2.105 2.105 2.105
! energy relative to the elements	-2207	meV per atom
! volume	74.57	Å³/f.u.

---

# 4
........

Set down only the lines above with the word "values" in them.

! Tb8CrTe13Cl, optimized geometry, DFT PBE-GGA; values from VASP
! CsCl, optimized geometry, DFT PBE-GGA; values from VASP
! CsCl, optimized geometry, DFT PBE-GGA; values from VASP